Source:
~~~
1.
La4Y5Er4 | PBE-GGA | relaxed

Cell and atoms, written as POSCAR:
```
La4Y5Er4
1.0
-6.493 6.493 2.561
6.493 -6.493 2.561
6.493 6.493 -2.561
La Y Er
4 5 4
Cartesian
4.962 1.011 0.000 La
5.481 -1.530 2.561 La
1.011 8.023 0.000 La
1.530 5.481 2.561 La
0.000 0.000 0.000 Y
7.019 4.042 0.000 Y
4.042 5.966 0.000 Y
2.451 0.526 2.561 Y
-0.526 2.451 2.561 Y
10.003 1.993 0.000 Er
1.993 2.983 0.000 Er
4.499 3.510 2.561 Er
-3.510 4.499 2.561 Er
```

Computed properties:
Mass density = 6.42 Mg/m³
Symmetry = I4/m (87)
ΔH_f (0 K) = 31 meV per atom

2.
LaY4Er8 | PBE-GGA | relaxed

Cell and atoms, written as POSCAR:
```
LaY4Er8
1.0
5.493 3.172 4.476
-5.493 3.172 4.476
0.000 -6.343 4.476
La Y Er
1 4 8
Cartesian
0.000 0.000 0.000 La
-5.493 0.000 6.714 Y
-2.747 1.586 2.238 Y
2.747 1.586 2.238 Y
0.000 0.000 6.714 Y
-2.633 -1.520 7.780 Er
0.000 0.000 3.499 Er
0.000 -3.041 5.648 Er
-2.633 1.520 5.648 Er
2.633 -1.520 7.780 Er
0.000 3.041 7.780 Er
0.000 0.000 9.929 Er
2.633 1.520 5.648 Er
```

Computed properties:
Mass density = 6.50 Mg/m³
Symmetry = R-3m (166)
ΔH_f (0 K) = 542 meV per atom

3.
La3Y12Er | PBE-GGA | relaxed

Cell and atoms, written as POSCAR:
```
La3Y12Er
1.0
5.096 0.000 0.000
0.000 5.096 0.000
0.000 0.000 20.404
La Y Er
3 12 1
Cartesian
0.000 0.000 0.000 La
0.000 0.000 5.114 La
0.000 0.000 15.289 La
0.000 2.548 2.570 Y
0.000 2.548 7.721 Y
0.000 2.548 12.682 Y
0.000 2.548 17.833 Y
2.548 0.000 2.570 Y
2.548 0.000 7.721 Y
2.548 0.000 12.682 Y
2.548 0.000 17.833 Y
2.548 2.548 0.000 Y
2.548 2.548 5.152 Y
2.548 2.548 10.202 Y
2.548 2.548 15.252 Y
0.000 0.000 10.202 Er
```

Computed properties:
Mass density = 5.17 Mg/m³
Symmetry = P4/mmm (123)
ΔH_f (0 K) = 32 meV per atom

4.
LaY10Er4 | PBE-GGA | relaxed

Cell and atoms, written as POSCAR:
```
LaY10Er4
1.0
-4.937 4.937 5.295
4.937 -4.937 5.295
4.937 4.937 -5.295
La Y Er
1 10 4
Cartesian
0.000 0.000 0.000 La
2.129 -1.238 1.799 Y
6.174 -2.807 3.495 Y
4.937 0.000 2.647 Y
7.744 1.238 1.799 Y
1.238 2.129 1.799 Y
3.699 2.807 3.495 Y
-2.807 3.699 3.495 Y
0.000 4.937 2.647 Y
-1.238 7.744 1.799 Y
2.807 6.174 3.495 Y
4.455 2.225 0.000 Er
2.712 -0.481 5.295 Er
2.225 5.418 0.000 Er
0.481 2.712 5.295 Er
```

Computed properties:
Mass density = 5.46 Mg/m³
Symmetry = I4/m (87)
ΔH_f (0 K) = 506 meV per atom

5.
LaYEr5 | PBE-GGA | relaxed

Cell and atoms, written as POSCAR:
```
LaYEr5
1.0
-2.890 4.295 5.912
2.890 -4.295 5.912
2.890 4.295 -5.912
La Y Er
1 1 5
Cartesian
0.000 0.000 0.000 La
0.000 0.000 5.912 Y
2.890 1.536 0.000 Er
0.000 0.000 2.995 Er
0.000 4.295 0.000 Er
0.000 0.000 8.828 Er
0.000 2.759 5.912 Er
```

Computed properties:
Mass density = 6.02 Mg/m³
Polymorph energy (0 for the lowest one) = 6.83 eV per formula unit
Symmetry = Immm (71)
ΔH_f (0 K) = 1152 meV per atom

6.
LaY8Er5 | PBE-GGA | relaxed

Cell and atoms, written as POSCAR:
```
LaY8Er5
1.0
-4.793 4.793 5.006
4.793 -4.793 5.006
4.793 4.793 -5.006
La Y Er
1 8 5
Cartesian
0.000 0.000 0.000 La
3.109 3.960 -2.536 Y
1.684 0.833 2.470 Y
-0.685 3.148 0.967 Y
5.625 3.109 2.536 Y
0.685 6.437 0.967 Y
1.644 4.108 4.038 Y
-0.833 1.684 7.542 Y
-1.644 5.478 4.038 Y
5.850 2.794 -0.756 Er
4.793 0.000 2.503 Er
2.794 3.735 0.756 Er
-1.058 1.999 4.250 Er
1.999 1.058 5.762 Er
```

Computed properties:
Mass density = 6.09 Mg/m³
Symmetry = I-4 (82)
ΔH_f (0 K) = 246 meV per atom

7.
La8YEr5 | PBE-GGA | relaxed

Cell and atoms, written as POSCAR:
```
La8YEr5
1.0
-4.890 4.890 5.206
4.890 -4.890 5.206
4.890 4.890 -5.206
La Y Er
8 1 5
Cartesian
6.648 0.890 -0.029 La
4.223 3.229 -1.637 La
0.890 3.132 0.029 La
0.667 1.661 3.569 La
1.661 -0.667 6.844 La
4.000 1.758 5.236 La
3.229 5.557 1.637 La
-1.758 4.000 5.177 La
0.000 0.000 0.000 Y
2.926 -1.047 3.353 Er
3.843 1.964 1.853 Er
1.964 5.936 -1.853 Er
0.000 4.890 2.603 Er
1.047 2.926 7.059 Er
```

Computed properties:
Mass density = 6.79 Mg/m³
Symmetry = I-4 (82)
ΔH_f (0 K) = 248 meV per atom

8.
La4Y3Er4 | PBE-GGA | relaxed

Cell and atoms, written as POSCAR:
```
La4Y3Er4
1.0
18.239 -2.836 0.000
18.239 2.836 0.000
~~~

What to do:
Could you say how many lines of the material earlier on hold the word "Cell", as a bare number?

Response:
8